Monday, April 1, 2013

Year 29 Week Two

I survived my first week at Lindhurst! Only 10 more weeks to go! Overall it was a good week, but there were a few who really gave me a run for my money! I am confident, however, that I will not only survive, but thrive. "I can do ALL things through Christ who gives me strength."

In the midst of a busy week, Mr. Strong surprised me with a date night. He planned the whole thing. All I had to do was show up. First we ate at an Italian restaurant and then we went to the movies to watch "Oz, the Great and Powerful". It was a very delightful, refreshing night.

As far as exercise is concerned, I have been slacking. First I was sick, then I was busy, and then came the excuses. Friday I finally decided enough was enough and I headed out on my bike and then followed it up with a run. On Saturday I did the same thing, but threw a little twist in the mix by having the 8 year old tag along on the run on his new Razor. He was a trooper and did great on the 2 mile run! Perhaps I've found my new coach?!

Before our run, C enjoyed playing in his new train.  He's our train boy!
Sunday was Easter and we spent the afternoon at Mr. Strong's aunt's house. This was my first Easter celebration at her house, but if Fourth of July or Christmas was any indicator of what was to come, I knew it was going to be a real treat! One of the things I was looking forward to most was the "Big Kid Egg Hunt".  This included eggs filled with money.  I was right, it was a blast and something I am looking forward to doing next year!  I am so blessed to be married into such an awesome family!

Ready, set, GO!
The "after" shot. (Before we all started counting our money.

Monday, March 25, 2013

Year 29 Day Seven

Today was the first day of my long term sub job. This job is going to go until the end of the school year. I walked in this morning not really knowing what to expect. I wasn't sure if there were going to be lesson plans, I didn't know my student lists, etc.

All in all it turned out to be a pretty good day all things considered. In this job I am teaching special education life science (2 periods), physical science (1 period), and keyboarding (2 periods). I have two para educators who are both really great! One para is there during periods 1 through 3 and the other para comes during periods 4 through 6. There was a third para in my classroom 1 through 3, but fortunately I was notified that she was moved to a different assignment. There was a lot of tension, etc. in the classroom due to her presence.

During our fourth period prep time today, my second para and I spent the time rearranging the classroom. It now looks awesome! Many of the students had mixed reactions, but all in all I think it is going to be a good change.

I am looking forward to finishing the year out in this new classroom of mine. If I can impact at least one student, then my placement there was all worth it!

One of the "toughest" students made this welcome sign for me.  It's okay that he can't spell "Lindhurst", it's the thought that counts. (Perhaps spelling is something we can work on.)

The classroom view #1.

The classroom view #2.

This Elmo / projector was sitting unused.  I said, "Why?!" and set it up!

Teacher's Desk

Sunday, March 24, 2013

Year 29 Day Six

**Here the piece breaks off for calculated molecules**
/*
No. 1
Below is a single C5H8N2 molecule in a non-equilibrium geometry, with properties calculated with ωB97M-V/def2-TZVPD.

## Properties
SMILES	C[C@@]1(CC#N)CN1
relative energy (zero: lowest compared OMol25 entry of this formula, charge and spin)	367.2	kJ/mol
total charge	0

Cartesian coordinates (Å):
C1 -0.313 -1.188 0.876
C2 0.043 -0.215 -0.243
C3 -0.689 1.101 -0.240
C4 -0.511 1.887 0.991
N1 -0.378 2.498 1.964
C5 1.542 -0.252 -1.034
N2 0.281 -0.812 -1.492
H1 -0.386 -0.729 1.867
H2 -1.299 -1.599 0.620
H3 0.392 -2.026 0.935
H4 -1.751 0.877 -0.363
H5 -0.361 1.693 -1.095
H6 1.500 -0.142 0.118
H7 1.668 0.730 -1.493
H8 0.262 -1.822 -1.412

Results of the Löwdin charge analysis, in e, for atoms 1 through 8:
1. C -0.022
2. C -0.539
3. C -0.125
4. C -0.208
5. N 0.149
6. C -0.052
7. N -0.004
8. H 0.083

No. 2
Below is a single C3H7NOS2 molecule in a non-equilibrium geometry, with properties calculated with ωB97M-V/def2-TZVPD.

## Properties
multiplicity	3
expectation value of S²	2.009
relative energy (zero: lowest compared OMol25 entry of this formula, charge and spin)	254.7	kJ/mol
total charge	0

Cartesian coordinates (Å):
C1 -0.451 -0.202 -0.542
C2 -1.809 -1.229 1.440
C3 2.068 0.418 -0.640
N1 0.117 2.261 -0.812
O1 -0.675 -1.641 -0.986
S1 -1.170 0.322 0.833
S2 0.499 0.930 -1.525
H1 -1.450 -1.324 2.443
H2 -1.280 -2.001 1.027
H3 -2.899 -1.269 1.496
H4 2.115 -0.686 -0.867
H5 1.810 0.583 0.492
H6 3.070 0.826 -0.865
H7 0.055 3.013 -1.495

Results of the Löwdin charge analysis, in e, for atoms 1 through 8:
1. C -0.890
2. C -0.337
3. C -0.279
4. N -0.429
5. O -0.092
6. S 0.977
7. S 0.818
8. H 0.035

No. 3
Below is a single C10H8O3 molecule in a non-equilibrium geometry, with properties calculated with ωB97M-V/def2-TZVPD.

## Properties
SMILES	COc1cc(=O)oc2ccccc12
relative energy (zero: lowest compared OMol25 entry of this formula, charge and spin)	143.6	kJ/mol
total charge	0

Cartesian coordinates (Å):
C1 1.519 1.855 2.274
O1 0.473 1.550 1.309
C2 0.653 0.446 0.606
C3 1.852 -0.310 0.670
C4 2.115 -1.348 -0.363
O2 3.172 -1.927 -0.572
O3 1.080 -1.719 -1.211
C5 -0.170 -1.133 -1.140
C6 -1.271 -1.509 -1.907
C7 -2.502 -0.814 -1.867
C8 -2.753 0.183 -0.881
C9 -1.694 0.525 -0.112
C10 -0.444 -0.110 -0.180
H1 1.615 1.088 2.987
H2 2.503 1.966 1.726
H3 0.996 2.668 2.773
H4 2.747 0.271 0.966
H5 -1.283 -2.414 -2.577
H6 -3.357 -1.096 -2.538
H7 -3.735 0.569 -0.631
H8 -1.517 1.260 0.667

Results of the Löwdin charge analysis, in e, for atoms 1 through 8:
1. C -0.018
2. O -0.065
3. C -0.232
4. C 0.082
5. C -0.426
6. O 0.085
7. O 0.102
8. C -0.157

> Look up the relative energy (zero: lowest compared OMol25 entry of this formula, charge and spin) of the first one.

367.2 kJ/mol

=====

Record 1
{
  "formula": "C7H14N2S",
  "method": "wB97M-V/def2-TZVPD",
  "species": ["C", "C", "C", "N", "C", "N", "H", "H", "H", "H", "H", "H", "C", "C", "S", "C", "H", "H", "H", "H", "H", "H", "H", "H"],
*/

Today Tim and I were able to sleep in and we attended the Nazarene's 11 o'clock church service. It was so nice to sleep in since we don't get to very often and I worked the night before until midnight!

Today for lunch/dinner we decided to try a new Mexican restaurant in town. Although it was good, it wasn't our favorite. I ordered a "michelada" trying to bring back some great memories from Mexico. It, unfortunately, was not the same. :(

All in all though, a great day with my husband!

Year 29 Day Five

This morning I woke up to the results of my blood test in my inbox. I excitedly clicked on the link to read my results. Four and a half years ago, as I was getting my health check up before leaving for China, I was told that I was at risk for developing diabetes. Now, four and a half years later, I have a completely clean bill of health! I never want to go back.

Friday, March 22, 2013

Year 29 Day Four

This year was my first year volunteering as a 4th - 6th grade cheer coach for my local church's basketball league. Tonight we had our final award ceremony after spending the last 9 weeks together. There were some weeks that seemed too consumed by "life" to truly appreciate the season, but now looking back on it, I would not have changed a thing. I met some amazing young ladies and parents of these young ladies during the season. 
Group picture missing two girls.

When making the decision of whether or not to volunteer this Upward season, I remembered that God calls us to use the gifts He has given us and to be His servants and to serve. (1 Peter 4:10). Sometimes it is hard for me, however, because very easily I can become too busy and I start to neglect relationships. This, therefore, is still something I am trying to ask God to help me with.

Hopefully God used me to speak into these young ladies' lives as we did our mid-practice devotional each week covering topics of "self-control", "responsibility", and "hope". Some weeks the girls were extra squirmy and I'm not quite sure how much they took away from our short devotionals.  (This seems to be true with parenting as well.  Parents do their best to teach their children the way of the Lord and then in the end must trust that they heard and will follow. Parenting is still very new for me.) 

Being a person who always strives to do my best, I wanted to do my best as a cheer coach.  During games I freted over the girls hitting the right moves, cheering loud, and remembering everything we went over during our quick 1-hour practice.  I watched other coaches who would direct their cheerleaders with calling specific cheers.  I, however, chose a different tactic.  I would simply elect two cheerleaders each week to call out the cheers (or chants) that I had taught them.  It would then be all, for the most part, student-led.  I prefered this tactic because it was teaching the girls to work together, to be a leader, and to "step up to the plate".

My biggest compliment this season came from a parent in the stands during our last game.  As I was sitting on the sideline watching the cheerleaders, she came up behind me and asked, "Are you their coach?" 

Reluctantly I answered in fear that she was going to say something negative, "Yes."

Her response then surprised me.  With a smile on her face she said, "This is the most entertaining squad I have seen yet.  My girls have been wanting to cheer, but I have been hesistant until I saw your cheerleaders.  What's your name so that I can request you next year?"

So many times I worried if what I was doing was enough.  After each practice I thought, "I could have done this... or I should have done that."  This parent's comment gave me the pat on the back that I needed.  Reflecting back on the season, I can see that there are things that I will improve upon for next season, but overall, it has been fantastic and is something that I could see myself doing again! :)

Go Upward!

End of season treats I made for each girl.

Thursday, March 21, 2013

Year 29 Day Three

Tomorrow I am having a blood analysis examine to see how healthy / unhealthy I am. Since I ate nachos, drank margaritas, and then finished my evening off with ice cream & a Cookie Tree cookie last night, I realized that today would be an "undo" day.

Let's see how successful I was...

6:30am Green Smoothie (red kale, carrots, celery, apple, orange, and ginger juiced. Blended together with frozen strawberries, blueberries, peaches, and melon.)
7:30am Bowl of Kashi cereal with a banana & almond milk and two cups of coffee
11:25am Hummus, carrots, red & green bell pepper, sugar snap peas, and five multigrain crackers (ok, perhaps I also may have bought a bag of M&M's from a high school senior selling them as a fundraiser. Does it help that I only ate half if the bag?)
3:30 apple, (cookie), and a handful if almonds **After-school is my most difficult time. I am normally starving and want to eat everything and anything. I am also suffering from "I-just-want-to-snack".
5:45 Kale, polenta, and sun-dried tomatoes.

**begin the 12 hour fast**

If I were to grade myself today, I would give myself a B-. I must remember, it is progress, not perfection.

Wednesday, March 20, 2013

Year 29 Day Two

Today I celebrated my birthday and new job with two of my running buddies & friends. We had a great time drinking margaritas and enjoying some girl talk.

Tuesday, March 19, 2013

The 29th Year

"I know the plans I have for you says the Lord. Plans for you to prosper. Plans to give you a hope and a future." Jeremiah 29:11

The above scripture was one that came to mind last night as I was thinking of my favorite scripture. It's so easy to forget that God has everything under control when life is uncertain, isn't it? It's so easy to fret and worry over the big things, or even the little things, isn't it? It is for me at least. But time and time again there is God, standing patiently, waiting for me to trust Him, to let go.

Today marks the start of my 29th year. So far it's looking as though this will be the best one yet! This morning I woke up next to the most amazing, Godly man, my husband. I picked up a fresh produce box on my front porch. I then proceeded to make the most delicious green smoothie ever! I then headed off to my day job.... substitute teaching.

At about 9am, the email arrived in my inbox that I had been waiting for; a job offer! Starting next school year I will be teaching at a local private Christian High School and I can not wait! What's so amazing is that I will be the second Mrs. Dunlap teaching there. Yes, I am following in my mother-in-law's footsteps!

What more could I have ever wished for on the day marking the start of my 29th year?

Here's to the best year yet!